the pattern of people across the earth’s surface
the number of people in a particular land area
highly density populated
low density population`
Arithmetic Denstiy
the total number of people divided by the total land area
FOR EXAMPLE, If 4.4 million people live in Minnesota, the area of which is 84000 square miles, this means Minnesota has an arithmetic density of…
52 people per square mile
Physiological density
Population divided by arable (farmable) land
An example of physiological density is if the physiological population density of the u.s. is 340 people per square mile in Japan’s is 7000 people per square mile, this indicates the arable land in Japan is scarce, given the country’s population and land resources.
just read it lol
carrying capacity
the number of people the area can sustain/support
The higher the population density…
the more CC is needed
support systems: housing, police force, road system, education. food supplies and health care
Governments and societies constantly try to develop their ______ to expand their carrying capacity
EXAMPLE OF CC: Despite Israel’s dry climate, it has developed advanced irrigation methods to create more arable land to increase its farming output. This innovation has increased its carrying capacity despite the land area.
just read
Example of population distribution impacting on society and politics… in areas of high population density, politicians and policymakers are likely focused on issues such as maintaining sustainable growth, fixing infrastructural stains: like traffic, and improving efficiency of services to meet the needs of Highly dense areas.
just read
Example of population distribution impacting on its Society economically … The type of economic activity in less than fully populated areas are more likely to have more farming activities because with more dispersed population
Elements of population composition:
age structure: distribution of ages in a population
sex ratio: the proportion of males and females
Read page 41 and 42 highlighted examples
On a population pyramid cohort is a group of people of the same age.
Each Cohort is split male and female
The ______ the base of a population pyramid, the higher percentage of young people there are.
What age range is considered adolescents/children?
What age range is considered the working age?
What age range is considered the elderly?
The ______ a pyramid is, the higher the percentage of elderly there is in the population.
more top-heavy
Page 45-47
Natural Increase (NIR)
the growth rate of the population
CBR - Crude Birth Rate
of births per 1,000 ppl
CDR - Crude Death Rate
of deaths per 1,000 ppl
Less developed countries have a _____ NIR while developed countries have a ______ NIR
high, low
STAGE 1 of DTM and Epidemiological Transition Model
low population grow, and CBR and CDR are both VERY HIGH
this creates a low NIR because the CBR and CDR cancel one another out
Ex. a few remote groups
Because of lots of disease, famine, war and poor medical knowledge so many children die.
Since so many children die a lot or born : also for farming/work/supporting family/cultural tradition
STAGE 2 of DTM and Epidemiological Transition Model
- High Population Growth
- CBR Remains High b/c they still need children for farming and supporting family and cultural tradition.
- CDR declines b/c of new medicine and medical supplies arrive / and increase in medical knowledge
-The NIR increases because the CBR is high and CDR is decreasing
STAGE 3 of DTM and Epidemiological Transition Model
CBR is falling b/c families begin to lower their birth rates/have less children b/c there is not a need to have as many, or moving to cities to work or b/c of improved health conditions
Women have more opportunities, so NIR is becoming reduced but because of the population size still growing, the NIR is greater than 0.
improved medical care and diet so fewer children are needed / die
STAGE 4 of DTM and Epidemiological Transition Model
-the CBR falls and meets the CDR equally low levels
- A lot less children are being born b/c of job opportunities and such women are held in much higher role.
-this means stable, no population growth: NIR is about 0
STAGE 5 of DTM and Epidemiological Transition Model
NIR is negative:
population is declining:
this can be a sign to longer life expectancy causes a higher proportion of population to be elderly
when compared to the population of children
CBR is lower than the death rate is a result of above
Malthusian Theory
that populations is growing exponentially (quickly) while food supply is only growing arithmetically. Basically population was growing at a faster rate than food supply
What did Malthus argue for?
checks on population growth positive: such as birth control. education programs to reduce birth rate, and celibacy.
negative: starvation, a widespread disease
government policies that promote reproduction, and increase in population.
Data records from another source follow:
- - -
Computed, not measured: a molecular structure, C26H30IN4O5Pt, with ωB97M-V/def2-TZVPD.

## Properties
Total charge = +3

Each line ends with the Löwdin charge.
Geometry (Å):
Pt -0.647 1.231 -0.513  1.33
C -1.408 0.926 4.069  0.00
C -0.039 1.334 3.630  -0.24
N 0.903 1.533 4.527  0.18
C 2.160 1.824 4.133  -0.03
C 2.563 1.914 2.821  -0.12
C 4.008 2.156 2.457  -0.17
O 4.163 3.334 1.667  -0.05
C 1.559 1.756 1.838  -0.07
C 1.932 1.929 0.464  0.00
N 1.323 1.473 -0.595  -0.09
C 2.032 1.552 -1.870  -0.27
C 3.419 1.696 -1.905  0.01
C 4.086 1.804 -3.113  0.00
C 3.398 1.729 -4.317  -0.02
C 2.029 1.522 -4.310  -0.11
C 1.384 1.428 -3.089  -0.57
I -0.659 1.063 -3.122  1.37
C 0.249 1.493 2.248  -0.23
O -0.792 1.394 1.419  -0.20
H -1.429 0.833 5.150  0.10
H -1.679 -0.028 3.610  0.09
H -2.162 1.650 3.755  0.09
H 2.878 1.976 4.931  0.14
H 4.377 1.329 1.847  0.13
H 4.618 2.178 3.359  0.14
H 4.326 4.096 2.233  0.12
H 2.857 2.477 0.313  0.12
H 4.002 1.706 -0.994  0.12
H 5.160 1.939 -3.108  0.14
H 3.923 1.810 -5.259  0.14
H 1.484 1.434 -5.241  0.12
C -5.343 3.454 -0.400  0.06
O -4.533 2.230 -0.390  0.09
C -3.258 2.260 -0.437  -0.52
O -2.646 1.154 -0.447  -0.11
N -2.567 3.413 -0.479  0.10
N -1.158 3.340 -0.509  0.01
H -6.367 3.107 -0.373  0.12
H -5.160 4.004 -1.323  0.11
H -5.126 4.041 0.491  0.12
H -3.015 4.319 -0.452  0.18
H -0.769 3.772 0.331  0.15
H -0.803 3.824 -1.334  0.14
C -0.484 -7.203 -0.486  0.00
C -0.646 -5.720 -0.477  -0.17
C 0.328 -4.898 0.110  0.03
C 0.223 -3.535 0.106  -0.14
C 1.297 -2.717 0.765  -0.01
C -0.931 -2.948 -0.530  -0.09
C -1.137 -1.591 -0.628  -0.12
O -0.297 -0.679 -0.216  -0.22
C -1.958 -3.788 -1.105  -0.16
C -3.206 -3.231 -1.746  -0.02
C -1.783 -5.141 -1.062  0.03
H 0.349 -7.531 0.129  0.09
H -0.312 -7.539 -1.513  0.12
H -1.400 -7.691 -0.151  0.11
H 1.181 -5.361 0.590  0.14
H 1.972 -3.366 1.316  0.10
H 0.877 -1.982 1.454  0.09
H 1.878 -2.167 0.019  0.10
H -2.071 -1.248 -1.065  0.10
H -2.980 -2.545 -2.565  0.09
H -3.827 -2.702 -1.019  0.10
H -3.805 -4.038 -2.157  0.10
H -2.540 -5.789 -1.487  0.14


Computed, not measured: a molecular structure, C20H22BN2O, with ωB97M-V/def2-TZVPD.

## Properties
Total charge = +1

Each line ends with the Löwdin charge.
Geometry (Å):
C 5.708 -2.317 -1.475  -0.06
C 5.105 -1.372 -2.319  -0.06
C 4.009 -0.609 -1.894  -0.01
C 3.465 -0.785 -0.595  -0.14
C 2.293 -0.060 -0.132  -0.15
O 2.092 -0.204 1.218  0.07
C 1.076 0.517 1.853  -0.16
C 0.339 1.492 1.163  -0.20
C -0.493 2.375 1.899  -0.01
C -0.527 2.262 3.290  -0.06
C 0.222 1.279 3.952  -0.04
C 1.026 0.393 3.244  0.03
C 0.464 1.547 -0.265  -0.09
C 1.412 0.681 -0.901  0.01
C 4.168 -1.668 0.278  -0.01
C 5.242 -2.440 -0.157  -0.06
H 6.537 -2.928 -1.827  0.11
H 5.498 -1.210 -3.329  0.11
H 3.596 0.174 -2.537  0.11
H -1.075 3.128 1.355  0.14
H -1.121 2.972 3.879  0.12
H 0.198 1.233 5.054  0.13
H 1.670 -0.317 3.757  0.13
H 0.214 2.548 -0.733  0.16
H 1.472 0.708 -2.001  0.14
H 3.891 -1.713 1.328  0.11
H 5.734 -3.127 0.543  0.11
H -0.665 0.961 -0.790  0.04
- - -
Back to the entry:
Government policies that discourage reproduction and try to reduce population growth
What can happen if there is rapid population growth in poor countries?
they could exhaust food supplies and natural resources
What is the core thing of woman’s society placement?
___, ____, and _____ roles for females have influenced patterns of fertility, mortality, and migration
social, economic, and political
Age 15-64 are what?
Non-dependent, they usually support themselves through work
Age 14 and under and 65 and older are known as what?
dependents, they depend on the workers for survival.
Potential Benefits of an Aging Populations
Medical Care can advance given the pressure to meet the growing demands related to chronic diseases associated with old age, and lead to Medical Innovations that will last Generations .
Challenges of an Aging Populations
Workforces may not be able to fill the jobs needed given their lower Workforce population.
Push factors
the negative influences that makes a person want to move away
Pull factors
the positive influences that pulls a person towards a certain place
people who have fled their country of origin to escape persecutions, violation of human rights, or armed conflict.
Refugees _____ their countries while IDP’s are _______ to leave their country.
flee, forced